Thursday, May 16, 2013

Multicopter Design ideas and some electronics

So I've finally finished my tutorial on how to setup Eclipse with all the tools needed to program an ARM chip. It took me ages as I kept having issues with things not working as expected. I guess, the reason for this is that, people use propitiatory software and don't use these alternatives. The reverse can also be said though, people use propitiatory software as there are quirks with the free alternative. Anyway, I'll start some coding tutorials soon, but I have uni exams in 4 weeks so may take some time. I'll try to make them a series so are easy to follow. Talking of which, I haven't found any community websites for ARM chips (like AVR freaks is for AVR) so that's a shame. I think without this community, there is not an easy pathway to learning ARM coding without doing specialised courses at university's or learning on the job.

Anyway multicopers! I think I have worked out how to attach the motors to the arms and the arms to the copter body. Basically, I want to use carbon fibre or fibre glass tube such as this, and then glue ends on that can screw into the motor and body. Sounds simple, but I wasn't sure how to do the mount onto the body. Below is an image I drew during a maths lecture (boring) with the basic concept. The other thing about these mounts is that the cabling needs to go through it for better aerodynamics and aesthetics.
Talking of cabling, I think it would be great if the entire product was water tight so it can be used in damp conditions such as rain and video of water events such as rowing (my favourite water sport). To do this, I'll need to make cases that go round the motors and probably have to use bearings on the drive shafts so I can seal them easier (ex rubber). I also want to put a dome on top that will be great for strength plus I can (in theory) engrave the material and place tracks and place in it for an aerial for the GPS.

Other sensors I would like/need to have are a gyroscope, accelerometer and magnetometer. These would help with tracking, and control of the copter. Another sensor I would love to have but I think is too expensive for the first round is laser scanning or similar. This would be great for trees or other objects that could potentially be on course and not seen by the user or the on board intelligence.

## Data records that have nothing to do with the text
~~~
Entry a
Here is an isolated molecule of C7H12S from the Open Molecules 2025 dataset. Energies are from ωB97M-V with the def2-TZVPD basis set.

Calculated values
Structure (SMILES) ... CSC1=CCC[C@@H]1C
HOMO-LUMO gap ... 0.341 Ha
Total charge ... 0
E_HOMO ... -8.39 eV
Multiplicity ... 1

Last column: Löwdin charge in e.
Atoms and positions in Å:
C1 -2.831 -0.168 0.612  -0.4585
C2 -0.232 -0.705 -0.298  -0.5936
C3 0.597 -1.764 -0.131  -0.1371
C4 2.069 -1.271 0.006  -0.2160
C5 1.913 0.245 0.254  -0.1724
C6 0.563 0.619 -0.631  -0.3349
C7 -0.300 1.846 -0.289  -0.0997
H1 -3.920 -0.583 0.598  0.0558
H2 -2.366 -0.338 1.617  0.0443
H3 -2.991 1.003 0.385  0.0682
H4 0.483 -2.833 0.237  0.1220
H5 2.508 -1.396 -1.158  0.1604
H6 2.738 -1.845 0.839  0.1415
H7 2.768 0.731 -0.187  0.0771
H8 1.719 0.637 1.344  0.1410
H9 0.843 0.701 -1.652  0.1109
H10 -0.498 1.929 0.784  0.0671
H11 -1.297 1.442 -0.767  0.0523
H12 0.126 2.783 -0.924  0.1243
S1 -1.891 -1.034 -0.639  0.8472

Entry b
Here is an isolated molecule of C7H12S from the Open Molecules 2025 dataset. Energies are from ωB97M-V with the def2-TZVPD basis set.

Calculated values
Structure (SMILES) ... CSC1=CCC[C@@H]1C
HOMO-LUMO gap ... 0.352 Ha
Total charge ... 0
E_HOMO ... -8.60 eV
Multiplicity ... 1

Last column: Löwdin charge in e.
Atoms and positions in Å:
C1 2.427 -0.803 0.544  -0.4017
C2 0.072 0.263 -0.362  -0.5888
C3 -0.124 1.589 -0.282  -0.1024
C4 -1.530 1.929 0.069  -0.1912
C5 -2.077 0.610 0.631  -0.1486
C6 -1.152 -0.499 0.001  -0.3858
C7 -0.975 -1.718 0.956  -0.0753
H1 3.421 -1.112 0.273  0.0203
H2 2.439 0.017 1.257  0.0443
H3 2.027 -1.630 1.097  0.0111
H4 0.624 2.293 -0.625  0.1047
H5 -2.092 2.247 -0.822  0.1145
H6 -1.628 2.793 0.750  0.1103
H7 -3.129 0.387 0.381  0.1155
H8 -1.912 0.564 1.711  0.1115
H9 -1.609 -0.857 -0.931  0.1393
H10 -0.237 -1.464 1.802  0.0961
H11 -0.517 -2.543 0.376  0.0717
H12 -2.018 -1.953 1.299  0.0857
S1 1.549 -0.436 -0.994  0.8688

Entry c
Here is an isolated molecule of C7H12S from the Open Molecules 2025 dataset. Energies are from ωB97M-V with the def2-TZVPD basis set.

Calculated values
Structure (SMILES) ... C[C@@H]1[C@@H]2CSC[C@H]1C2
HOMO-LUMO gap ... 0.340 Ha
Total charge ... 0
E_HOMO ... -8.36 eV
Multiplicity ... 1

Last column: Löwdin charge in e.
Atoms and positions in Å:
C1 -0.816 1.685 -0.603  -0.0758
C2 -0.969 0.239 -0.207  -0.3330
C3 -0.222 -0.971 -0.888  -0.2974
C4 1.120 -0.540 -1.351  -0.4430
C5 0.946 0.453 1.392  -0.4344
C6 -0.393 -0.216 1.149  -0.3360
C7 -0.219 -1.631 0.564  -0.0957
H1 0.245 1.970 -0.670  0.0496
H2 -1.080 2.241 0.327  0.0930
H3 -1.436 1.946 -1.446  0.0758
H4 -2.043 0.032 -0.194  0.1360
H5 -0.827 -1.530 -1.662  0.1486
H6 1.000 0.188 -2.196  0.0929
H7 1.765 -1.358 -1.609  0.0558
H8 1.437 0.049 2.263  0.0629
H9 0.823 1.546 1.607  0.0811
H10 -1.028 0.035 2.059  0.1575
H11 0.697 -2.199 0.795  0.1128
H12 -1.129 -2.232 0.711  0.1110
S1 2.129 0.293 -0.039  0.8381

Entry d
~~~

With connectivity, I would love to be able to use mobile broadband or something to transmit data and video. Maybe only turn on broadband when other types of transmission don't work. Having a look at the prices for mobile chips sets though, if I was going to get one, it may be cheaper to pull one out of a cheap router or buy a USB dongle as the modules are incredibly expensive.

For manual control, I think a console style controller would be the best, maybe connected to a computer and then transmitted or incorporated like traditional model planes. I'd do this for the same reason the military is doing this - its a much more familiar control device plus gaming manufacturers have spent plenty of money researching the designs, why not skip the research phase for this.

Also in relation to controls, I'm going to try and have the camera angle and rotation separate to the main control so the secondary camera can view what it needs separate to the direction of the copter. This would be great for doing panning shots etc. Oh and the reason for the secondary camera, is so the copter can be flown with visual aids and not just the camera that could potentially be facing the opposite direction for example.

The motors, I'll use for the propellers, I was looking at through the week. I had previously and a bit this time got confused when they kept giving KV. KV had only the one meaning to me and that was it meant kilovolt. I found out after much frustration that with motors this is actually the motor velocity constant and should actually be shown as Kv. I still which motor manufacturers would give out torque information and datasheets with their motors.

That is it with the copter design ideas for this post. I'll now get on with some electronics talk.

With the STM32F4-Discovery board I've bought, there is one quibble I have with it. This is that, all the pins come out in only two sockets and so its very hard to find 2x25 pin plugs. IMHO, it would have been nice to either not have soldered all the pins in so they could have wires directly or spaced out the pins into slightly more manageable amounts so connectors would fit. I've now bought some jumper wires and found that I can get some wires with individual sockets on the end of them but I'm not sure how well these will work.

I've also thought of one more basic-ish ARM project and that is to log button presses to a file on a SD card. With the SD card, I'm going to have to make a breakout board soon/after exams to get this to work. I would love to make/etch this myself so I might buy a bubble etch tank or use dad's etch bath. The only thing with these is I don't know where to get Ferric Chloride from easily, though I should be able to ask uni where they get it from.

Final electronics related thing, I got my book on ARM Cortex-M3 and its a great book, just I haven't read much of it as we did half of it in one of my units last year. Its so good with this content though, that I might show the lecturer that took that course the book, to use as a course book as at the moment the course it using pretty bad notes.

Very last thing and unrelated to everything else, its a Mozilla Firefox fix. I'm adding this here as I thought could potentially could be useful to someone, plus its a good place for me to find it when I forget. So, my Firefox, frequently (well every few months) starts to get slow and eventually starts being so slow, I have to keep force restarting it. I've found out that its to do with firefox keeping records of browsing history too far back and so searching for what your going to with where you've been. To fix this, download the addon SQLite Manager, then open the places.sql file in your mozilla profile directory. Expand tables and select moz_historyvisits. Here you can browse and search much faster than the history window. You can also see how much history there actually is. When I checked during the week before deleting most of them, there were about 200 000 lines of history in this table. So to remove them go to the Execute SQL tab and type "delete from moz_historyvisits where id between 0 and upperbound", where upperbound is an id number that is high enough to delete unwanted lines but lower enough to keep recent information. There is a visit_date column but I don't understand the numbering scheme so I just used ID.

That's all for this post so thanks for reading!